Given:
# 1
{"formula": "C4H8NO2", "method": "wB97M-V/def2-TZVPD", "charge": -1, "homo_ev": -2.69, "energy_ha": -362.3968, "symbols": ["O", "O", "N", "C", "C", "C", "C", "H", "H", "H", "H", "H", "H", "H", "H"], "xyz": [[0.26, 0.67, -3.42], [-1.77, -0.62, 1.05], [0.58, -0.59, 1.24], [0.25, 0.94, -2.24], [-0.82, -0.77, 1.96], [0.14, -0.06, -1.17], [0.54, 0.42, 0.27], [-0.81, -1.79, 2.40], [-0.02, 1.36, 0.48], [1.03, -1.45, 0.94], [0.83, -0.91, -1.33], [-0.93, 0.12, 2.68], [1.47, 1.04, 0.08], [-0.92, -0.41, -1.11], [0.16, 2.05, -1.85]], "lowdin_charge": [0.004, -0.355, -0.087, -0.316, -0.509, -0.179, -0.347, 0.067, 0.105, 0.070, 0.115, 0.078, 0.095, 0.118, 0.141]}

# 2
{"formula": "C4H8NO2", "method": "wB97M-V/def2-TZVPD", "charge": -1, "homo_ev": -2.64, "energy_ha": -362.3509, "symbols": ["O", "O", "N", "C", "C", "C", "C", "H", "H", "H", "H", "H", "H", "H", "H"], "xyz": [[1.57, 0.82, 0.27], [-2.59, 0.62, 1.18], [-1.90, -0.10, 0.31], [0.65, 1.84, -0.07], [-2.49, -0.77, -0.60], [1.04, -0.40, 0.55], [1.83, -1.44, 0.80], [1.42, -2.40, 1.04], [-3.58, -0.83, -0.75], [0.64, 1.97, -1.16], [1.01, 2.76, 0.40], [-1.86, -1.32, -1.30], [-0.06, -0.46, 0.55], [-0.36, 1.60, 0.28], [2.91, -1.34, 0.78]], "lowdin_charge": [-0.151, -0.337, -0.349, -0.101, -0.173, -0.243, -0.019, 0.026, 0.025, 0.082, 0.077, 0.009, 0.064, 0.058, 0.032]}

The evaluated energy relative to the best compared isomer or geometry (same formula, charge and spin) for the records listed, in turn: 80.0, 108.8 kcal per mole.
The evaluated maximum force for the records listed, in turn: 3.4, 1.1 eV Å⁻¹.

~~~~~

14
Properties=species:S:1:pos:R:3 method="wB97M-V/def2-TZVPD" lumo_ha=0.0340 multiplicity=1 e_above_lowest_kcal_mol=115.1 e_homo_ev=-8.33
C -0.8595 -0.9139 0.6386
C -1.2705 0.3831 -0.0096
O -0.2960 1.2163 -0.6166
C 0.8643 1.2166 0.1782
C 1.4179 -0.1827 0.2078
O 0.4240 -1.0966 0.7665
H -1.4041 -2.2017 -0.7497
H -1.2584 -2.1549 -1.4884

Wanted:
Your job: count the lines further up that contain the word "the" and give the number alone.

Completed:
2